(1)
The following is a DFT calculation (the ωB97M-V functional and the def2-TZVPD basis) of C3H3ClNO5PdS as an isolated structure at a distorted geometry.

Orbital gap (alpha / beta): 8.1 / 6.1 eV
Strongest force on any atom: 0.0380 hartree/bohr
E_HOMO (alpha / beta): -8.028 / -10.340 eV
Total charge: 0
LUMO energy (alpha / beta): 0.1 / -4.2 eV
2S+1: 6
E_tot: -41708.716 eV

Each line ends with the Mulliken charge.
Atoms and positions in Å:
Pd1 0.13 -0.38 -0.11  0.325
Cl1 1.16 0.57 -2.14  2.118
S1 -2.03 -0.45 2.18  -0.110
O1 1.19 1.43 -0.98  -0.587
O2 1.68 1.20 -3.26  -0.578
O3 1.89 -0.61 -1.79  -0.582
O4 -0.21 0.18 -2.34  -0.572
O5 0.80 -1.85 1.11  -0.471
N1 -2.19 2.89 0.27  -0.436
C1 1.93 -1.85 1.87  -0.461
C2 -1.61 0.52 0.85  -0.067
C3 -1.94 1.78 0.56  0.577
H1 2.74 -1.24 1.41  0.280
H2 2.29 -2.88 1.99  0.267
H3 1.72 -1.44 2.87  0.296

=====

(2)
The following is a DFT calculation (the ωB97M-V functional and the def2-TZVPD basis) of a 8-piece molecular cluster, C28H56NO16S5 overall at a distorted geometry.

Orbital gap: 10.1 eV
Strongest force on any atom: 0.2480 hartree/bohr
E_HOMO: -11.778 eV
Total charge: +1
LUMO energy: -1.7 eV
2S+1: 1
E_tot: -118353.071 eV

Each line ends with the Mulliken charge.
Atoms and positions in Å:
S1 -1.29 1.78 -3.93  1.131
S2 2.78 -1.13 1.85  1.249
S3 -2.02 -1.87 3.26  1.254
S4 3.46 2.76 -0.84  1.177
S5 -0.13 3.53 2.99  0.784
O1 1.73 -1.31 -5.34  -0.273
O2 1.60 -0.48 2.41  -0.413
O3 0.83 -2.69 -3.83  -0.250
O4 3.00 1.70 0.01  -0.378
O5 -3.66 0.70 0.70  -0.551
O6 0.46 2.77 1.95  -0.327
O7 -0.80 1.65 -2.61  -0.440
O8 -4.57 -1.25 0.40  -0.334
O9 -1.25 -1.41 2.19  -0.372
O10 -3.00 -0.58 -0.99  0.111
O11 -0.38 2.39 -4.89  -0.851
O12 -0.82 4.74 2.53  -0.771
O13 -3.27 -1.22 3.60  -0.812
O14 4.76 2.93 -1.42  -0.807
O15 1.72 -0.74 -3.16  -0.512
O16 2.82 -1.16 0.40  -0.802
N1 0.10 0.59 -0.09  1.121
C1 2.28 2.83 -2.11  -0.658
C2 1.27 2.70 5.01  -0.735
C3 1.55 -1.56 -4.07  0.514
C4 -2.74 2.66 -3.99  -0.909
C5 -0.77 -3.81 -5.14  -1.546
C6 -1.91 0.33 -4.65  0.693
C7 -3.38 2.20 -5.28  -1.085
C8 3.12 4.28 -0.01  -0.622
C9 -1.07 -1.98 4.72  -0.391
C10 -2.13 -2.67 -1.83  -0.127
C11 -0.06 1.76 4.88  0.072
C12 -1.91 -4.18 4.51  -1.129
C13 4.87 -1.15 3.37  -0.559
C14 1.04 3.94 4.29  -0.582
C15 3.01 -2.67 2.65  -0.528
C16 -4.43 -2.39 -0.40  -0.372
C17 -3.43 -1.78 -1.49  0.122
C18 1.20 -2.35 -6.07  -0.767
C19 3.85 -2.27 3.93  -0.549
C20 -3.74 -0.30 0.07  0.336
C21 0.64 -3.39 -5.01  0.598
C22 2.02 5.09 -0.96  -0.799
C23 -1.14 2.51 4.11  -0.858
C24 1.38 4.02 -1.80  0.154
C25 -2.98 0.77 -5.63  -0.905
C26 -2.34 -3.64 3.14  -0.894
C27 4.06 -0.22 2.49  -0.358
C28 -0.62 -3.49 4.80  -0.923
H1 -5.40 -2.73 -0.75  0.327
H2 1.95 4.40 3.83  0.424
H3 -4.38 2.41 -5.34  0.534
H4 -0.99 -4.50 -4.42  0.506
H5 4.62 0.19 1.76  0.562
H6 -1.51 3.13 4.92  0.336
H7 5.77 -1.64 2.72  0.210
H8 -1.43 -2.36 -1.05  -0.033
H9 2.07 -3.51 2.86  0.106
H10 -3.84 -1.65 -2.57  0.311
H11 -2.60 -0.22 -3.78  -0.763
H12 0.31 4.72 4.87  0.290
H13 -1.67 -1.68 5.48  0.547
H14 -0.16 -1.43 4.54  -0.169
H15 -1.65 -2.10 -2.88  -0.306
H16 0.24 0.99 4.23  -0.589
H17 3.10 3.22 -2.80  0.461
H18 -1.97 2.02 3.59  0.439
H19 -0.89 -4.31 -6.13  0.395
H20 3.05 4.31 1.07  0.231
H21 -3.30 2.15 -3.21  0.172
H22 1.38 3.05 5.95  0.464
H23 -3.30 -3.87 2.85  0.621
H24 1.08 4.39 -2.82  0.419
H25 1.84 1.88 -2.50  -0.020
H26 0.47 -2.03 -6.62  0.426
H27 -2.60 3.64 -3.80  0.802
H28 -1.69 -3.20 -5.01  0.250
H29 5.25 -0.68 4.37  0.321
H30 3.67 0.63 3.12  -0.145
H31 2.09 2.33 4.52  0.097
H32 3.76 -3.24 2.00  0.378
H33 -0.97 -0.06 -5.10  0.081
H34 1.34 -4.23 -5.02  0.304
H35 -3.70 0.12 -5.96  0.671
H36 -0.43 -3.52 5.66  0.903
H37 0.25 -3.78 4.15  -0.042
H38 -0.26 1.55 5.85  0.860
H39 0.63 0.99 0.65  -0.137
H40 -1.64 -5.10 4.48  0.507
H41 1.81 -2.75 -6.93  0.334
H42 1.31 5.63 -0.35  0.338
H43 4.01 5.01 -0.13  0.374
H44 -1.59 -3.96 2.38  0.311
H45 4.36 -2.81 4.78  0.392
H46 -0.66 1.11 -0.10  0.320
H47 -2.58 0.97 -6.60  0.331
H48 -2.68 -4.20 5.19  0.501
H49 2.78 5.68 -1.50  0.349

Repeat only the lines further above with the word "H7" in them.

H7 5.77 -1.64 2.72  0.210